domingo, 30 de noviembre de 2014

Poetry and Visual Arts: Homage to Jorge E. Eielson en Hofstra University y Americas Society

El poeta peruano Miguel Angel Zapata junto a Hofstra University y Americas Society organizan un tributo a Jorge Eduardo Eielson.

ALL EVENTS ARE FREE and open to the public.To register, RSVP by email to HOFCULCTR[at]
For more information please contact the Hofstra Cultural Center at 516-463-5669




and the




Poetry and Visual Arts: Homage to  

Jorge E. Eielson 



Stuart Rabinowitz                                                     Alan J. Bernon

President and                                                                               Chair, Board of Trustees

Andrew M. Boas and Mark L. Claster                         Hofstra University

Distinguished Professor of Law

Hofstra University


M. Patricia Adamski                                                 Herman A. Berliner

Senior Vice President for Planning                             Provost and Senior Vice President for

and Administration                                                      Academic Affairs

Adolph J. and Dorothy R. Eckhardt                              Lawrence Herbert Distinguished Professor

Distinguished Professor of Corporate Law                               Hofstra University

Hofstra University


Melissa Connolly

Vice President for University Relations

Hofstra University



Symposium Director

Miguel-Angel Zapata

Professor of Spanish

Hofstra University



Athelene A. Collins, Director

Carol Mallison, Manager of Conferences and Events

Lorie Pellegrini, Event Coordinator

Amy Trotta, Event Coordinator

Jeannine Rinaldi, Senior Assistant

Natalie Datlof, Director Emeritus

**Records of molecules, kept here for reference:**
'''
Entry 1:
{"formula": "C13H22NO4", "method": "ωB97M-V/def2-TZVPD", "symbols": ["C", "H", "C", "H", "C", "H", "C", "C", "C", "H", "H", "H", "H", "H", "C", "C", "O", "N", "C", "H", "H", "H", "H", "C", "C", "H", "H", "H", "O", "H", "H", "H", "O", "H", "O", "C", "H", "C", "H", "H"], "positions_angstrom": [[2.43, -0.10, -1.79], [-3.05, 3.52, -0.23], [0.39, 0.81, 1.31], [2.07, 0.61, -2.54], [4.60, -0.36, -0.76], [2.64, -1.05, -2.29], [1.36, -0.29, -0.71], [-3.07, 0.14, -0.10], [-3.50, 1.44, -0.33], [-5.75, -0.25, -0.18], [0.37, -0.33, -1.16], [5.52, 0.23, -0.81], [2.40, 0.79, 0.69], [0.44, -0.15, 1.81], [-5.12, -0.79, -0.90], [-2.69, 2.52, -0.04], [-3.81, -0.96, -0.41], [1.43, 0.83, 0.25], [-1.43, 2.32, 0.48], [4.73, -1.26, -1.37], [-5.13, -0.28, -1.86], [1.36, 1.71, -0.28], [1.50, -1.22, -0.15], [-1.79, -0.07, 0.45], [-2.02, -2.42, 1.00], [-5.51, -1.80, -1.02], [-2.80, -2.17, 1.72], [-2.48, -2.83, 0.10], [3.83, 0.35, 1.44], [0.63, 1.61, 2.02], [4.53, 1.01, 1.51], [-0.79, 3.17, 0.72], [3.61, 0.49, -1.29], [3.55, -1.53, 0.77], [-1.21, -1.29, 0.69], [4.33, -0.76, 0.70], [-1.34, -3.15, 1.43], [-0.98, 1.03, 0.73], [5.24, -1.15, 1.15], [-4.48, 1.62, -0.74]], "lowdin_charge": [-0.162, 0.113, -0.064, 0.138, -0.164, 0.138, -0.095, -0.188, 0.002, 0.104, 0.137, 0.136, 0.124, 0.141, -0.056, -0.063, -0.099, 0.058, -0.047, 0.135, 0.101, 0.188, 0.133, -0.160, -0.042, 0.101, 0.106, 0.094, -0.067, 0.145, 0.126, 0.116, -0.145, 0.119, -0.100, -0.188, 0.098, -0.158, 0.133, 0.111], "smiles": "COc1cccc(C[NH2+]CCOCCO)c1OC", "fmax_ha_per_bohr": 0.015, "spin_multiplicity": 1, "charge": 1, "total_energy_ev": -23510.846}

Entry 2:
'''
**Back to the page:**










5:45-7 p.m.                      SPECIAL SESSION

                                                Rochelle and Irwin A. Lowenfeld Conference and Exhibition Hall,

Joan and Donald E. Axinn Library, 10th Floor, South Campus



Bilingual reading of Eielson’s poetry, and comments on the presence and influence of Jorge Eielson in Hispanic literature and art


Moderator                       Miguel-Angel Zapata, Professor of Spanish

Hofstra University 


Participants                   Alberto Valdivia Baselli, City University of New York

Andrea Cabel, University of Pittsburgh

Martha Canfield, University of Florence, Italy

Mariela Dreyfus, New York University

Xavier Echarri (University of Massachusetts- Dartmouth)

Madeline Millán, Fashion Institute of Technology, SUNY

Roger Santiváñez, Temple University

Luis Rebaza Soraluz, King’s College, London

Mario Valero, Fashion Institute of Technology, SUNY

Chrystian Zegarra, Colgate University



7:15 p.m.                          BUFFET RECEPTION











Americas Society

680 Park Avenue

New York, NY


Wednesday, December 3, 2014, at 7 p.m.

Inaugural night


Daniel Shapiro, Martha Canfield, Luis Rebaza Soraluz, Madeline Millán, and

Miguel-Angel Zapata will discuss the work of Jorge Eduardo Eielson and its

influence on contemporary art and poetry.







9:30-10:45 a.m.            SESSION I


Moderator                      Pepa Anastasio, Associate Professor of Spanish

Hofstra University


Barbara Lekatsas, Professor of Comparative Literature

and Languages

Hofstra University

“The Avant-Garde Book: Encounters between Poetry and Art in the

Livre d’Artiste Weingrow Collection of Avant-Garde Art and Literature

at Hofstra University”


Stefania Licata, PhD Candidate in Spanish

Stony Brook University, SUNY

“La transculturación en las creaciones artísticas de

Afrán Francis Abiamba”


Vicente Lledo-Guillem, Associate Professor of Spanish

Hofstra University

“El Greco, El Monserrate and the different voices of the

== Records of molecules, as found in the file ==
........
(1)
Here is C4H4Cl4 in the gas phase from the Open Molecules 2025 dataset. Energies are from the ωB97M-V functional and the def2-TZVPD basis.

Summary:
* calculated total energy: -1995.5328 Ha
* SMILES: CC(=C(Cl)Cl)C(Cl)Cl
* frontier orbital gap: 10.225 eV
* energy relative to the best compared isomer or geometry (same formula, charge and spin): 79.8 kJ/mol

ORCA input file:
```
! wB97M-V def2-TZVPD RIJCOSX def2/J DEFGRID3
* xyz 0 1
C -0.05 0.74 0.34
C -0.66 -0.65 0.27
C -1.95 -0.85 0.03
Cl -2.68 -2.48 0.08
Cl -3.06 0.39 -0.38
C 0.45 -1.93 0.16
Cl 1.06 -1.66 -1.46
Cl 1.66 -2.01 1.39
H 0.92 0.63 0.98
H -0.91 1.23 0.73
H 0.22 1.11 -0.68
H -0.19 -2.79 -0.03
*
```

(2)
Here is a gas-phase ion, C4H4ClF3NO2 (charge +1) from the Open Molecules 2025 dataset. Energies are from the ωB97M-V functional and the def2-TZVPD basis.

Summary:
* calculated total energy: -1119.5386 Ha
* SMILES: [NH3+]/C(C(=O)Cl)=C(/O)C(F)(F)F
* frontier orbital gap: 10.221 eV
* energy relative to the best compared isomer or geometry (same formula, charge and spin): 0.0 kJ/mol

ORCA input file:
```
! wB97M-V def2-TZVPD RIJCOSX def2/J DEFGRID3
* xyz 1 1
N -0.62 -1.42 -0.15
C -0.56 0.04 -0.06
C -1.94 0.89 0.04
O -2.03 2.10 0.10
Cl -3.37 -0.20 0.06
C 0.58 0.74 -0.01
O 0.76 1.99 0.22
C 1.92 -0.09 -0.09
F 3.00 0.66 0.11
F 2.13 -0.79 -1.23
F 1.82 -1.04 0.90
H 0.08 -1.66 -0.97
H -1.61 -1.55 -0.19
H -0.10 -2.09 0.61
H -0.05 2.43 0.66
*
```


Record 1
{"formula": "C4H8N2OS", "method": "ωB97M-V/def2-TZVPD", "symbols": ["S", "O", "N", "N", "C", "C", "C", "C", "H", "H", "H", "H", "H", "H", "H", "H"], "xyz": [[-2.64006, -0.86080, -0.04963], [2.42984, -1.34456, -0.08293], [0.46628, 0.52910, -0.10856], [0.09761, -0.75529, -0.37098], [-0.08500, 1.57923, -1.16204], [-1.16787, -1.46570, -0.14382], [0.11192, 0.95373, 1.30607], [1.31635, -1.70483, -0.20620], [0.63676, 2.37718, -1.11475], [-1.05878, 1.17269, 1.28858], [1.09476, -2.73129, -0.27062], [0.74003, 1.79684, 1.89113], [-0.07468, 0.98566, -2.23502], [-1.13878, 1.97196, -0.84688], [-1.02094, -2.58915, 0.10040], [0.29257, 0.08523, 2.00526]], "lowdin_charge": [0.67, 0.10, -0.25, -0.16, -0.05, -0.69, -0.10, -0.23, 0.05, 0.07, 0.10, 0.12, 0.13, 0.08, 0.08, 0.08], "molar_mass_g_mol": 132.2, "e_tot_ha": -740.0260, "orbital_gap_ev": 8.67, "e_lumo_ev": -0.043, "smiles": "CN(C)N(C=O)C=S", "homo_energy_ev": -8.712, "total_charge": 0, "e_above_lowest_ev": 3.7005}

---

Record 2
........
== So much for the records of molecules ==

Spanish Empire”


11-11:45 a.m.                                               KEYNOTE ADDRESS


Introduction                                 Miguel-Angel Zapata, Professor of Spanish

Hofstra University


Luis Rebaza-Soraluz, Reader in Latin American Visual Arts

King’s College, London

Department of Romance Languages and Literatures Distinguished Symposium Scholar


“An Infinite Landscape of Stars and Knots: The Peruvian Poetics of Jorge Eduardo Eielson”


Noon-1 p.m.                                   LUNCH (on your own)


1:15-2:45 p.m.                             SESSION II


Moderator/Presenter            Madeline Millán, Associate Professor of Spanish

Fashion Institute of Technology, SUNY

“Composición y poética textil en los nudos de Eielson”


Gregory Pell, Associate Professor of Italian

Hofstra University

“Translating Eielson: Untying Ropes and Quipus”


Alberto Valdivia Baselli, PhD Candidate

City University of New York

“Biopolítica y resistencia del sujeto en la propuesta estética corporal-espacial de Jorge Eduardo Eielson: Noche oscura del cuerpo y Quipus”


Mario Valero, Assistant Professor of Spanish

Fashion Institute of Technology, SUNY

“Eielson: Sobre la piel del mundo”


3-4:15 p.m.                     KEYNOTE ADDRESS


Welcome                          Sabine Loucif, Professor and Chair

Department of Romance Languages and Literatures

Hofstra University


Introduction                 Miguel-Angel Zapata, Professor of Spanish

Hofstra University


Martha Canfield, Professor of Latin American Literature

University of Florence, Italy

Joseph G. Astman Distinguished Symposium Scholar


“Fundadores de siglo XX: Jorge Eduardo Eielson y la poesía verbo-voco-visual”/Founders of the Twentieth Century: Jorge Eduardo Eielson and Verb-Voco-Visual Poetry"


4:15-5:30 p.m.              SESSION III


Moderator                       Manuel Galofaro, Adjunct Assistant Professor of Spanish

                                                Hofstra University


Chrystian Zegarra, Assistant Professor of Spanish

Colgate University

“Eielson y su Noche oscura del cuerpo (sin órganos)”


Andrea Cabel, PhD Candidate in Spanish

University of Pittsburgh

“El deseo en El cuerpo de Giulia-no


Roger Santiváñez, Lecturer

Temple University

“Jorge Eielson: Habitación Conversacional: Un tambo en el camino”


Program Schedule
Homage to Eielson

4 poemas de Brandon Yubank

  De la cosecha Vertí mi sangre en la tierra y brotaron muchas flores. ¡Mi corazón blanco! Y hubieron espinas que crecieron e hirieron mi co...